Audit Buzz Newsletter
November 2024
Engagement and Office Updates
In this issue of the Audit Buzz, we provide an update on current engagements; explain Accountability and the Five E's in the Knowledge Hive; and offer a training opportunity for Fairfax County Public Schools (FCPS) employees.
Prior editions of Audit Buzz are archived here on Office of Auditor General's (OAG) website.
As always, we appreciate the cooperation and courtesies extended to our staff by FCPS management and staff during all past, current, and future audit engagements.
Here is a challenge to test your audit knowledge, before we begin this issue:
Say What You See
*Hint: this is two words
# The piece is interrupted by data records
'''
No. 1
Structure and computed powder diffraction line list of TiGa2Pd3 (DFT lattice parameters and positions (GGA-PBE); Cu Ka).

a b c (Å): 4.4137 4.4137 10.8281
angles (deg): 90.00 90.00 120.00
Space group P-3m1 (No. 164)
Symmetry-distinct sites (fractional):
Ti1 0.3333 0.6667 0.1697
Ga1 0.0000 0.0000 0.0000
Ga2 0.0000 0.0000 0.5000
Ga3 0.3333 0.6667 0.6781
Pd1 0.0000 0.0000 0.2613
Pd2 0.3333 0.6667 0.4227
Pd3 0.3333 0.6667 0.9238

Principal peaks in the range 2θ from 10° to 90°, sorted by position:
2θ/deg	I/Imax	hkl
24.68	12	0 0 3
28.59	84	0 1 2
40.87	1000	1 1 0
48.34	9	1 1 3
50.63	23	2 0 2
53.58	7	1 1 4
59.18	160	0 2 4
67.02	29	1 2 2
74.41	232	2 1 4
74.47	82	3 0 0
88.52	47	2 0 8
88.64	53	2 2 0


No. 2
Structure and computed powder diffraction line list of Ti3Ga5Pd (DFT lattice parameters and positions (GGA-PBE); Cu Ka).

a b c (Å): 7.8549 7.8549 5.3958
angles (deg): 90.00 90.00 120.00
Space group P6_3/mcm (No. 193)
Symmetry-distinct sites (fractional):
Ti1 0.0000 0.3764 0.2500
Ga1 0.0000 0.2859 0.7500
Ga2 0.3333 0.6667 0.0000
Pd1 0.0000 0.0000 0.0000

Principal peaks in the range 2θ from 10° to 90°, sorted by position:
2θ/deg	I/Imax	hkl
13.01	142	1 0 0
22.64	102	1 1 0
38.80	270	2 1 1
39.75	850	3 0 0
40.57	1000	1 1 2
51.30	68	3 1 1
58.10	285	2 2 2
69.71	67	0 0 4
72.15	75	3 3 0
72.70	238	4 1 2
80.63	67	5 1 1
83.36	181	3 0 4


No. 3
Structure and computed powder diffraction line list of Ti7GaPd12 (DFT lattice parameters and positions (GGA-PBE); Cu Ka).

a b c (Å): 9.8454 9.8454 11.6537
angles (deg): 90.00 90.00 120.00
Space group R-3 (No. 148, hexagonal axes)
Symmetry-distinct sites (fractional):
Ti1 0.0000 0.0000 0.0000
Ti2 0.0250 0.1916 0.3035
Ga1 0.0000 0.0000 0.5000
Pd1 0.0288 0.4563 0.1926
Pd2 0.0730 0.5906 0.5881

Principal peaks in the range 2θ from 10° to 90°, sorted by position:
2θ/deg	I/Imax	hkl
18.02	244	1 1 0
18.44	255	0 1 2
38.86	1000	1 3 1
39.28	292	0 3 3
40.11	249	0 1 5
41.20	321	4 -1 2
41.80	609	3 -1 4
43.53	138	2 2 3
44.29	369	2 0 5
47.11	156	3 2 1
49.13	147	2 3 2
70.03	192	5 -4 6


No. 4
Structure and computed powder diffraction line list of Ti2Ga2Pd5 (DFT lattice parameters and positions (GGA-PBE); Cu Ka).

a b c (Å): 12.9886 7.4502 6.0812
angles (deg): 90.00 90.00 90.00
Space group Ima2 (No. 46)
Symmetry-distinct sites (fractional):
Ti1 0.1222 0.0137 0.0000
Ga1 0.0000 0.0000 0.6265
Ga2 0.2500 0.5089 0.8668
Pd1 0.0418 0.1921 0.3037
Pd2 0.1511 0.7030 0.1568
Pd3 0.2500 0.1780 0.7178

Principal peaks in the range 2θ from 10° to 90°, sorted by position:
2θ/deg	I/Imax	hkl
29.37	308	0 0 2
32.54	315	1 1 2
33.52	391	4 1 1
35.04	430	3 2 1
36.64	1000	5 1 0
38.18	714	0 2 2
40.72	854	2 2 2
41.67	973	2 3 1
46.42	268	0 1 3
47.64	558	5 1 2
48.55	290	4 3 1
55.82	222	3 4 1


No. 5
Structure and computed powder diffraction line list of Ti7Ga2Pd2 (DFT lattice parameters and positions (GGA-PBE); Cu Ka).

a b c (Å): 5.3932 5.4150 7.4184
angles (deg): 73.35 75.04 64.65
Space group P-1 (No. 2)
Symmetry-distinct sites (fractional):
'''
Current Engagement Update
At the November 18 Audit Committee meeting, OAG presented the following agenda items:
OAG Engagement Status Updates - All approved audits are on schedule. OAG is also in the process of conducting the fiscal year (FY) 2026 risk assessment.
OAG Internal Inquiry Updates - From July 2024 to November 2024, OAG received 28 inquiries of concerns which might have implications on fraud, waste, and abuse defined per FCPS Policy 1107.
Year-Over-Year Comparison of Local School Activity Funds (LSAF) Audit Results - OAG presented the year over year comparison of LSAF results for FY 2022, 2023 and 2024.
OAG Audit Technology - OAG provided an overview of the DataSnipper software used by the office to import audit documentation into an Excel workpaper format. The tool is helpful in ensuring quality and efficiency in the audit process.
Peer Review Updates - OAG provided insight on the recent peer review as required by Government Auditing Standards (Yellow Book) in which require the office to obtain an independent peer review every three years. OAG also discussed passing the recent review, lessons learnt and other experiences with serving as a peer reviewer.
Knowledge Hive
Accountability and the Five E’s
- - -
No. 1
Structure and computed powder XRD pattern of Er7TlIn2 (a cell relaxed with GGA-PBE; Cu Kα, 1.54184 Å).
Neutral-atom scattering factors, no anomalous dispersion.

Crystal structure
Unit cell a=7.878 b=7.878 c=7.878 alpha=60.00 beta=60.00 gamma=60.00
Atoms (fractional coordinates):
Er 0.000 0.000 0.000
Er 0.246 0.246 0.754
Er 0.246 0.754 0.246
Er 0.246 0.754 0.754
Er 0.754 0.246 0.246
Er 0.754 0.246 0.754
Er 0.754 0.754 0.246
Tl 0.500 0.500 0.500
In 0.250 0.250 0.250
In 0.750 0.750 0.750

Main lines, sorted by position (2θ from 10° to 80°):
- 15.9°, I 45
- 27.7°, I 57
- 32.1°, I 100
- 46.1°, I 74
- 57.3°, I 26
- 76.5°, I 33

=====

No. 2
Structure and computed powder XRD pattern of Er2Tm4In (a cell relaxed with GGA-PBE; Cu Kα, 1.54184 Å).
Neutral-atom scattering factors, no anomalous dispersion.

Crystal structure
Unit cell a=11.474 b=6.355 c=11.919 alpha=70.41 beta=31.45 gamma=78.14
Atoms (fractional coordinates):
Er 0.202 0.798 0.273
Er 0.523 0.977 0.452
Er 0.798 0.202 0.727
Er 0.977 0.523 0.048
Tm 0.064 0.753 0.670
Tm 0.169 0.987 0.993
Tm 0.257 0.399 0.081
Tm 0.399 0.257 0.263
Tm 0.580 0.736 0.186
Tm 0.736 0.580 0.497
Tm 0.753 0.064 0.514
Tm 0.987 0.169 0.851
In 0.423 0.423 0.577
In 0.673 0.673 0.827

Main lines, sorted by position (2θ from 10° to 80°):
- 29.1°, I 73
- 30.5°, I 54
- 31.6°, I 54
- 32.5°, I 73
- 33.6°, I 100
- 34.0°, I 45

=====

No. 3
Structure and computed powder XRD pattern of Er5TmIn (a cell relaxed with GGA-PBE; Cu Kα, 1.54184 Å).
Neutral-atom scattering factors, no anomalous dispersion.

Crystal structure
Unit cell a=7.955 b=11.444 c=6.075 alpha=90.00 beta=90.00 gamma=90.00
Atoms (fractional coordinates):
Er 0.000 0.000 0.000
Er 0.000 0.248 0.675
Er 0.000 0.752 0.675
Er 0.184 0.500 0.793
Er 0.316 0.000 0.293
Er 0.500 0.252 0.175
Er 0.500 0.500 0.500
Er 0.500 0.748 0.175
Er 0.684 0.000 0.293
Er 0.816 0.500 0.793
Tm 0.000 0.500 0.296
Tm 0.500 0.000 0.796
In 0.000 0.000 0.522
In 0.500 0.500 0.022

Main lines, sorted by position (2θ from 10° to 80°):
- 15.5°, I 89
- 24.1°, I 82
- 27.9°, I 78
- 31.3°, I 100
- 32.5°, I 94
- 40.3°, I 90

=====

No. 4
Structure and computed powder XRD pattern of Er7Tm3In (a cell relaxed with GGA-PBE; Cu Kα, 1.54184 Å).
Neutral-atom scattering factors, no anomalous dispersion.

Crystal structure
Unit cell a=8.283 b=8.283 c=5.725 alpha=110.16 beta=110.16 gamma=84.78
Atoms (fractional coordinates):
Er 0.000 0.000 0.000
Er 0.100 0.525 0.312
Er 0.282 0.282 0.782
Er 0.475 0.900 0.688
Er 0.525 0.100 0.312
Er 0.718 0.718 0.218
Er 0.900 0.475 0.688
Tm 0.297 0.703 0.000
Tm 0.500 0.500 0.500
Tm 0.703 0.297 0.000
In 0.000 0.000 0.500

Main lines, sorted by position (2θ from 10° to 80°):
- 31.2°, I 64
- 32.1°, I 31
- 33.1°, I 100
- 33.4°, I 44
- 33.5°, I 43
- 45.4°, I 24

=====

No. 5
Structure and computed powder XRD pattern of Er2Tm2In5 (a cell relaxed with GGA-PBE; Cu Kα, 1.54184 Å).
Neutral-atom scattering factors, no anomalous dispersion.

Crystal structure
- - -
Did you know there are five E’s in accountability? Just by reading the word you might think that claim is total nonsense, but not according to the auditing standards that OAG follows.
As we have discussed in previous publications, OAG performs our work according to the requirements found within the Generally Accepted Government Auditing Standards (GAGAS), commonly known as the Yellow Book – a reference to its glaring yellow cover. These standards provide guidance for auditors of federal, state, and local governments and ensure that audits are conducted with objectivity, integrity, and professional competence. OAG follows these standards to enhance our credibility, improve our efficiency, and promote accountability.
So, where are the E’s?
Okay, fine; we will admit that technically, there are no E’s in the word “accountability;” but what about the concept of accountability and how it is measured? The concept of accountability for use of public resources and government authority is key to FCPS’ governing processes. Per GAGAS, accountability of public resources exists when the public knows that government services are provided effectively, efficiently, economically, ethically, and equitably within the context of statutory boundaries of the specific government program.
Questions to ask:
When conducting performance audits, auditors can consider the five E’s by asking the following questions:
- Is the program successfully accomplishing what it was created to do?
- How well is the program using its allocated resources?
- Are the costs of operating the program reasonable, and are there opportunities to increase productivity?
- Is the program reinforcing, encouraging, and applying fair and just practices?
- Is the program reaching and serving all targeted stakeholders in a fair way?
How do we measure?
The five E’s can be used to help auditors design testing steps to measure accountability by:
Effectiveness – evaluating the extent to which a program is achieving its goals and objectives.
Efficiency – assessing the costs and resources used to achieve program results (could include monetary resources, time-allocation, or human capital management).
Economy – assessing the costs and resources used to achieve program results (mostly concerned with monetary resources and outputs).
Ethics – assessing the tone management sets for how the organization will operate, the culture throughout all levels of the organization, the proper use of resources and valuable information, and the external parties the organization conducts business with.
Equity – evaluating access to or distribution of public resources within the context of statutory parameters.
By considering the five E’s during our engagements, OAG can design testing steps that will adequately evaluate how accountable FCPS is to all its stakeholders, both internal and external; therefore, providing management with conclusions that assist in improving performance and operations.
Did You Know?
OAG Outreach and Education: Continuing Professional Education (CPE) Opportunity
OAG is registered with the National Association of State Boards of Accountancy (NASBA) and serves as the sponsor for the FCPS Continuing Professional Education (CPE) programs, dedicated to support FCPS employees with complimentary CPE credits required by various certification agencies. OAG is pleased to offer a new NASBA training opportunity for FCPS employees to earn up to 3 CPE credits:
Course: Both Sides of an OAG Audit – Looking through the Lens of the Auditor and the Audit Client
Date: December 6, 2024
Time: 9:00 AM - 12:00 PM
Do you want to learn more about the audit process or how to prepare for an audit conducted by OAG. OAG conducts performance audits in accordance with the annual audit plan approved by the School Board. These audits are conducted according to the generally accepted auditing standards (GAGAS) framework that provides guidance for performing high-quality audit work with competence, integrity, objectivity, and independence.
This training is designed for all FCPS employees and will focus on how OAG adheres to GAGAS and ensures audit independence throughout the audit process. OAG will also delve into audits recently conducted including the FY22 Community Use Audit and the FY24 Food and Nutrition Audit. Staff from Community Use and Food and Nutrition Services will share an overview of their office and discuss the audit from their perspective.
FCPS employees may sign-up for the training on MyPDE.
Upcoming Events
Next Audit Committee Meeting
The next Audit Committee meeting is scheduled for January 13, 2025 at 4:30 PM. Please refer to BoardDocs for meeting information once it becomes available.
Fraud, Waste, and Abuse Hotline: (571) 423-1333 (anonymous voicemail) InternalAudit@fcps.edu (email is not anonymous)
Online Submission Form
[Answer: Risk Assessment]